== Contents ==
=====
Below is one molecule with the formula C18H16IN5O4S at a distorted geometry, with properties calculated with ωB97M-V with the def2-TZVPD basis set.

Properties
SMILES = CN(C)/C=N/N=C/c1cn(S(=O)(=O)c2ccc(I)cc2)c2cccc([N+](=O)[O-])c12
highest occupied orbital energy = -7.662 eV

CARTESIAN COORDINATES (ANGSTROEM)
C1 -4.00 5.02 -0.06
N1 -3.94 4.19 1.16
C2 -4.59 4.54 2.45
C3 -3.19 3.02 1.19
N2 -2.66 2.53 0.10
N3 -2.04 1.33 0.20
C4 -1.28 1.06 -0.82
C5 -0.52 -0.19 -0.95
C6 -0.45 -1.13 0.06
N4 0.36 -2.17 -0.38
S1 0.80 -3.55 0.63
O1 -0.31 -3.88 1.52
O2 1.15 -4.68 -0.22
C7 2.27 -3.07 1.62
C8 3.09 -2.01 1.23
C9 4.25 -1.70 1.94
C10 4.55 -2.39 3.13
I1 6.32 -1.76 4.40
C11 3.72 -3.45 3.51
C12 2.59 -3.82 2.77
C13 0.81 -1.86 -1.71
C14 1.64 -2.56 -2.61
C15 1.97 -1.95 -3.81
C16 1.38 -0.76 -4.23
C17 0.49 -0.07 -3.38
N5 -0.13 1.12 -3.79
O3 0.62 2.11 -3.88
O4 -1.33 1.05 -3.99
C18 0.27 -0.63 -2.11
H1 -3.01 5.31 -0.38
H2 -4.59 5.92 0.09
H3 -4.45 4.50 -0.93
H4 -5.37 3.80 2.68
H5 -5.09 5.55 2.35
H6 -3.91 4.59 3.32
H7 -3.16 2.50 2.13
H8 -1.15 1.77 -1.60
H9 -1.03 -1.06 0.99
H10 2.89 -1.40 0.34
H11 4.86 -0.89 1.56
H12 3.95 -3.97 4.44
H13 1.95 -4.64 3.14
H14 2.03 -3.51 -2.36
H15 2.63 -2.48 -4.51
H16 1.58 -0.30 -5.23



Below is one molecule with the formula C18H16N2O4, with properties calculated with ωB97M-V with the def2-TZVPD basis set.

Properties
ΔE to the lowest compared entry with this formula, charge and spin = 98.0 kJ/mol
SMILES = Cc1nn(-c2cccc(C(=O)O)c2)c(C)c1Oc1ccccc1O
highest occupied orbital energy = -8.366 eV

CARTESIAN COORDINATES (ANGSTROEM)
C1 -2.07 2.90 1.15
C2 -1.30 1.71 0.73
N1 -1.16 1.34 -0.52
N2 -0.41 0.24 -0.54
C3 -0.09 -0.35 -1.77
C4 1.15 -0.94 -2.01
C5 1.42 -1.50 -3.24
C6 0.47 -1.46 -4.25
C7 -0.76 -0.84 -4.03
C8 -1.74 -0.80 -5.13
O1 -1.55 -1.26 -6.23
O2 -2.89 -0.20 -4.80
C9 -1.04 -0.29 -2.79
C10 -0.06 -0.16 0.72
C11 0.68 -1.41 1.05
C12 -0.62 0.79 1.57
O3 -0.61 0.86 2.94
C13 0.49 0.36 3.61
C14 0.27 -0.47 4.69
C15 1.34 -0.96 5.42
C16 2.63 -0.62 5.07
C17 2.86 0.23 4.00
C18 1.80 0.74 3.27
O4 2.08 1.60 2.25
H1 -2.46 3.41 0.27
H2 -1.44 3.59 1.72
H3 -2.90 2.60 1.79
H4 1.91 -0.93 -1.24
H5 2.38 -1.96 -3.42
H6 0.67 -1.90 -5.22
H7 -3.49 -0.19 -5.57
H8 -1.98 0.21 -2.60
H9 1.75 -1.23 1.13
H10 0.50 -2.16 0.28
H11 0.34 -1.79 2.01
H12 -0.74 -0.73 4.94
H13 1.16 -1.61 6.26
H14 3.47 -1.01 5.63
H15 3.86 0.52 3.72
H16 1.26 1.96 1.89



Number 1: frontier orbital gap 7.3 eV, E_tot -53495.678 eV. Number 2: frontier orbital gap 8.7 eV, E_tot -30096.024 eV.


C7H4N2O4Pt as an isolated structure in a non-equilibrium geometry, computed with ωB97M-V/def2-TZVPD.

Calculated values
Spin multiplicity: 3
Net charge: +2
Energy above the lowest of the compared OMol25 structures with the same formula, charge and spin (kcal/mol): 58.6
HOMO level (spin up / spin down) (eV): -15.6 / -18.9

Cartesian coordinates (Å):
O: 0.22301 2.98113 -0.95423
C: -0.03708 1.85626 -1.12193
Pt: -0.70114 -0.01019 -1.57665
O: 4.23737 -0.23217 -0.59968
C: 3.14157 -0.19300 -0.95357
C: -0.43336 0.16990 -3.48984
O: -0.51517 0.22535 -4.67024
C: -0.13285 -1.87167 -1.49091
O: 0.15005 -2.99199 -1.55601
N: 0.31213 0.62726 1.38908
C: -0.27085 0.48676 2.60239
C: -1.35100 -0.31864 2.44940
C: -1.36711 -0.74350 1.12511
N: -0.38895 -0.11274 0.47811
H: 1.20774 1.12659 1.23806
H: 0.06628 0.98892 3.47060
H: -2.11144 -0.61883 3.12858
H: -2.02921 -1.36946 0.53171

Forces on the atoms, in the same order (eV/Å):
-1.04 -4.71 -0.84
1.12 6.62 0.50
1.89 0.92 -1.14
-3.67 0.12 -1.26
3.67 -0.11 1.29
-1.91 0.53 -8.76
0.96 -0.35 7.07
0.84 -6.38 -0.50
-0.84 4.06 0.15
0.22 0.39 2.51
2.87 2.05 -1.66
-3.10 -2.87 -0.85
0.29 0.06 -0.04
-0.70 -0.41 1.82
-0.74 -0.53 -0.46
0.49 0.47 0.72
-0.28 0.13 0.85
-0.07 0.02 0.61

***

An isolated ion of composition C7H4N3O2 and charge -1 in a non-equilibrium geometry, computed with ωB97M-V/def2-TZVPD.

Calculated values
Net charge: -1
HOMO level (eV): -2.9

Cartesian coordinates (Å):
C: 0.68579 1.26798 3.11701
C: 1.40475 1.06895 -0.63459
C: 1.39369 -0.24312 -0.89241
=====

== What to do ==
Set down the material earlier on from the first line to the one with "-0.84 4.06" with every line break kept.

== Result ==
Below is one molecule with the formula C18H16IN5O4S at a distorted geometry, with properties calculated with ωB97M-V with the def2-TZVPD basis set.

Properties
SMILES = CN(C)/C=N/N=C/c1cn(S(=O)(=O)c2ccc(I)cc2)c2cccc([N+](=O)[O-])c12
highest occupied orbital energy = -7.662 eV

CARTESIAN COORDINATES (ANGSTROEM)
C1 -4.00 5.02 -0.06
N1 -3.94 4.19 1.16
C2 -4.59 4.54 2.45
C3 -3.19 3.02 1.19
N2 -2.66 2.53 0.10
N3 -2.04 1.33 0.20
C4 -1.28 1.06 -0.82
C5 -0.52 -0.19 -0.95
C6 -0.45 -1.13 0.06
N4 0.36 -2.17 -0.38
S1 0.80 -3.55 0.63
O1 -0.31 -3.88 1.52
O2 1.15 -4.68 -0.22
C7 2.27 -3.07 1.62
C8 3.09 -2.01 1.23
C9 4.25 -1.70 1.94
C10 4.55 -2.39 3.13
I1 6.32 -1.76 4.40
C11 3.72 -3.45 3.51
C12 2.59 -3.82 2.77
C13 0.81 -1.86 -1.71
C14 1.64 -2.56 -2.61
C15 1.97 -1.95 -3.81
C16 1.38 -0.76 -4.23
C17 0.49 -0.07 -3.38
N5 -0.13 1.12 -3.79
O3 0.62 2.11 -3.88
O4 -1.33 1.05 -3.99
C18 0.27 -0.63 -2.11
H1 -3.01 5.31 -0.38
H2 -4.59 5.92 0.09
H3 -4.45 4.50 -0.93
H4 -5.37 3.80 2.68
H5 -5.09 5.55 2.35
H6 -3.91 4.59 3.32
H7 -3.16 2.50 2.13
H8 -1.15 1.77 -1.60
H9 -1.03 -1.06 0.99
H10 2.89 -1.40 0.34
H11 4.86 -0.89 1.56
H12 3.95 -3.97 4.44
H13 1.95 -4.64 3.14
H14 2.03 -3.51 -2.36
H15 2.63 -2.48 -4.51
H16 1.58 -0.30 -5.23



Below is one molecule with the formula C18H16N2O4, with properties calculated with ωB97M-V with the def2-TZVPD basis set.

Properties
ΔE to the lowest compared entry with this formula, charge and spin = 98.0 kJ/mol
SMILES = Cc1nn(-c2cccc(C(=O)O)c2)c(C)c1Oc1ccccc1O
highest occupied orbital energy = -8.366 eV

CARTESIAN COORDINATES (ANGSTROEM)
C1 -2.07 2.90 1.15
C2 -1.30 1.71 0.73
N1 -1.16 1.34 -0.52
N2 -0.41 0.24 -0.54
C3 -0.09 -0.35 -1.77
C4 1.15 -0.94 -2.01
C5 1.42 -1.50 -3.24
C6 0.47 -1.46 -4.25
C7 -0.76 -0.84 -4.03
C8 -1.74 -0.80 -5.13
O1 -1.55 -1.26 -6.23
O2 -2.89 -0.20 -4.80
C9 -1.04 -0.29 -2.79
C10 -0.06 -0.16 0.72
C11 0.68 -1.41 1.05
C12 -0.62 0.79 1.57
O3 -0.61 0.86 2.94
C13 0.49 0.36 3.61
C14 0.27 -0.47 4.69
C15 1.34 -0.96 5.42
C16 2.63 -0.62 5.07
C17 2.86 0.23 4.00
C18 1.80 0.74 3.27
O4 2.08 1.60 2.25
H1 -2.46 3.41 0.27
H2 -1.44 3.59 1.72
H3 -2.90 2.60 1.79
H4 1.91 -0.93 -1.24
H5 2.38 -1.96 -3.42
H6 0.67 -1.90 -5.22
H7 -3.49 -0.19 -5.57
H8 -1.98 0.21 -2.60
H9 1.75 -1.23 1.13
H10 0.50 -2.16 0.28
H11 0.34 -1.79 2.01
H12 -0.74 -0.73 4.94
H13 1.16 -1.61 6.26
H14 3.47 -1.01 5.63
H15 3.86 0.52 3.72
H16 1.26 1.96 1.89



Number 1: frontier orbital gap 7.3 eV, E_tot -53495.678 eV. Number 2: frontier orbital gap 8.7 eV, E_tot -30096.024 eV.


C7H4N2O4Pt as an isolated structure in a non-equilibrium geometry, computed with ωB97M-V/def2-TZVPD.

Calculated values
Spin multiplicity: 3
Net charge: +2
Energy above the lowest of the compared OMol25 structures with the same formula, charge and spin (kcal/mol): 58.6
HOMO level (spin up / spin down) (eV): -15.6 / -18.9

Cartesian coordinates (Å):
O: 0.22301 2.98113 -0.95423
C: -0.03708 1.85626 -1.12193
Pt: -0.70114 -0.01019 -1.57665
O: 4.23737 -0.23217 -0.59968
C: 3.14157 -0.19300 -0.95357
C: -0.43336 0.16990 -3.48984
O: -0.51517 0.22535 -4.67024
C: -0.13285 -1.87167 -1.49091
O: 0.15005 -2.99199 -1.55601
N: 0.31213 0.62726 1.38908
C: -0.27085 0.48676 2.60239
C: -1.35100 -0.31864 2.44940
C: -1.36711 -0.74350 1.12511
N: -0.38895 -0.11274 0.47811
H: 1.20774 1.12659 1.23806
H: 0.06628 0.98892 3.47060
H: -2.11144 -0.61883 3.12858
H: -2.02921 -1.36946 0.53171

Forces on the atoms, in the same order (eV/Å):
-1.04 -4.71 -0.84
1.12 6.62 0.50
1.89 0.92 -1.14
-3.67 0.12 -1.26
3.67 -0.11 1.29
-1.91 0.53 -8.76
0.96 -0.35 7.07
0.84 -6.38 -0.50
-0.84 4.06 0.15